Next, filter the block below: keep the lines with the word "geometry".

1.
Structure and simulated X-ray powder pattern of TbAl7Au3 (the PBE geometry in OQMD; copper Kα).
Lines closer than 0.1° are merged.

Top 10 peaks for 2θ = 15–90°, by intensity:
25.37 deg, intensity 100.0
46.65 deg, intensity 43.7
38.49 deg, intensity 37.7
33.75 deg, intensity 34.8
44.65 deg, intensity 32.4
66.56 deg, intensity 29.3
62.03 deg, intensity 17.6
73.93 deg, intensity 10.5
88.02 deg, intensity 9.2
52.11 deg, intensity 9.1

Cell and atoms:
abc: 8.4481 8.4481 8.4481
angles: 57.31 57.31 57.31
Fractional coordinates of all 22 atoms:
Tb 0.0000 0.0000 0.0000
Tb 0.5000 0.5000 0.5000
Al 0.0694 0.8529 0.6675
Al 0.1471 0.3325 0.9306
Al 0.1675 0.3529 0.5694
Al 0.2500 0.2500 0.2500
Al 0.3325 0.9306 0.1471
Al 0.3529 0.5694 0.1675
Al 0.4306 0.8325 0.6471
Al 0.5694 0.1675 0.3529
Al 0.6471 0.4306 0.8325
Al 0.6675 0.0694 0.8529
Al 0.7500 0.7500 0.7500
Al 0.8325 0.6471 0.4306
Al 0.8529 0.6675 0.0694
Al 0.9306 0.1471 0.3325
Au 0.0736 0.7500 0.4264
Au 0.2500 0.5736 0.9264
Au 0.4264 0.0736 0.7500
Au 0.5736 0.9264 0.2500
Au 0.7500 0.4264 0.0736
Au 0.9264 0.2500 0.5736


2.
Structure and simulated X-ray powder pattern of U3Sb2Os4 (the PBE geometry in OQMD; copper Kα).
Lines closer than 0.1° are merged.

Top 10 peaks for 2θ = 15–90°, by intensity:
36.33 deg, intensity 100.0
32.99 deg, intensity 37.2
39.79 deg, intensity 32.0
41.25 deg, intensity 27.4
71.97 deg, intensity 23.7
58.65 deg, intensity 21.0
45.06 deg, intensity 15.0
89.33 deg, intensity 12.4
29.81 deg, intensity 12.0
77.14 deg, intensity 10.3

Cell and atoms:
abc: 6.9218 6.9218 4.3775
angles: 90.00 90.00 120.00
Fractional coordinates of all 9 atoms:
U 0.1456 0.7903 0.0000
U 0.2097 0.3553 0.0000
U 0.6447 0.8544 0.0000
Sb 0.0000 0.0000 0.5000
Sb 0.6667 0.3333 0.0000
Os 0.3333 0.6667 0.5000
Os 0.4261 0.0843 0.5000
Os 0.6583 0.5739 0.5000
Os 0.9157 0.3417 0.5000

Structure and simulated X-ray powder pattern of TbAl7Au3 (the PBE geometry in OQMD; copper Kα).
Structure and simulated X-ray powder pattern of U3Sb2Os4 (the PBE geometry in OQMD; copper Kα).